Carpe Som Settlement in Aetheus | World Anvil

The article is interrupted by crystal structures >
[1]
PBE CdPS3, relaxed; E_form = -0.707 eV per atom; energy = -41.54 eV/cell
1.0
0.797 5.302 -3.306
4.845 3.815 1.286
4.393 -1.911 -5.891
Cd P S
2 2 6
Direct
0.333 0.334 0.000 Cd
0.667 0.666 0.000 Cd
0.050 0.000 0.846 P
0.950 0.000 0.154 P
0.386 0.689 0.767 S
0.925 0.689 0.233 S
0.236 0.000 0.233 S
0.764 0.000 0.767 S
0.614 0.311 0.233 S
0.075 0.311 0.767 S

=====

[2]
PBE CdPS3, relaxed; E_form = -0.707 eV per atom; energy = -41.54 eV/cell
1.0
-7.760 2.173 -1.502
-5.845 -2.619 -5.115
-7.296 -3.618 0.933
Cd P S
2 2 6
Direct
0.667 0.667 0.667 Cd
0.333 0.333 0.333 Cd
0.949 0.949 0.949 P
0.051 0.051 0.051 P
0.234 0.921 0.612 S
0.921 0.612 0.234 S
0.388 0.766 0.079 S
0.766 0.079 0.388 S
0.079 0.388 0.766 S
0.612 0.234 0.921 S

=====

[3]
PBE CdSiP2, relaxed; maximum piezoelectric response = 0.15 C/m²; E_form = -0.197 eV per atom; energy = -35.92 eV/cell
1.0
-2.918 2.624 5.384
-4.524 4.269 -2.389
0.956 -6.409 -1.553
Cd Si P
2 2 4
Direct
0.750 0.250 0.500 Cd
0.000 0.000 0.000 Cd
0.500 0.500 0.000 Si
0.250 0.750 0.500 Si
0.875 0.828 0.453 P
0.172 0.625 0.047 P
0.375 0.422 0.547 P
0.578 0.125 0.953 P

=====

[4]
PBE CdSiP2, relaxed; E_form = 0.600 eV per atom; energy = -14.77 eV/cell
1.0
2.344 -3.942 0.501
0.443 -1.905 4.178
-2.242 -3.905 1.004
Cd Si P
1 1 2
Direct
0.000 0.000 0.000 Cd
0.500 0.500 0.500 Si
0.750 0.750 0.750 P
0.250 0.250 0.250 P

=====

[5]
PBE CdSnP2, relaxed; maximum piezoelectric response = 0.19 C/m²; E_form = -0.095 eV per atom; energy = -32.28 eV/cell
1.0
-2.993 2.993 5.862
2.993 -2.993 5.862
2.993 2.993 -5.862
Cd Sn P
2 2 4
Direct
0.000 0.000 0.000 Cd
0.750 0.250 0.500 Cd
0.250 0.750 0.500 Sn
0.500 0.500 0.000 Sn
0.618 0.625 0.493 P
0.375 0.868 0.993 P
0.132 0.125 0.507 P
0.875 0.382 0.007 P

=====

[6]
PBE Pa3Cd, relaxed; E_form = 0.198 eV per atom; energy = -28.68 eV/cell
1.0
-1.701 -3.228 2.842
2.903 1.394 3.320
-3.174 3.005 1.514
Pa Cd
3 1
Direct
0.500 0.500 0.000 Pa
0.500 0.000 0.500 Pa
0.000 0.500 0.500 Pa
0.000 0.000 0.000 Cd

=====

Which of these has the highest E_form?
number 4

=====

Number 1 is which compound?
CdPS3

=====

What did the fifth record say?
PBE CdSnP2, relaxed; maximum piezoelectric response = 0.19 C/m²; E_form = -0.095 eV per atom; energy = -32.28 eV/cell
1.0
-2.993 2.993 5.862
2.993 -2.993 5.862
2.993 2.993 -5.862
Cd Sn P
2 2 4
Direct
0.000 0.000 0.000 Cd
0.750 0.250 0.500 Cd
0.250 0.750 0.500 Sn
0.500 0.500 0.000 Sn
0.618 0.625 0.493 P
0.375 0.868 0.993 P
0.132 0.125 0.507 P
0.875 0.382 0.007 P

----------

Record 1
Compound: KZnH6Br3
Source: Materials Project
Functional: GGA-PBE
Structure: relaxed

Values from the calculation:
E: -115.35 eV/cell

```
data_KZnH6Br3
_cell_length_a 6.925
_cell_length_b 13.750
_cell_length_c 11.302
_cell_angle_alpha 90.00
_cell_angle_beta 109.95
_cell_angle_gamma 90.00
_symmetry_space_group_name_H-M 'P 1 21/c 1'
_symmetry_Int_Tables_number 14
loop_
_symmetry_equiv_pos_as_xyz
'x,y,z'
'-x,-y,-z'
'-x,y+1/2,-z+1/2'
'x,-y+1/2,z+1/2'
loop_
_atom_site_label
_atom_site_fract_x
Carpe Som

A fertile port known as the breadbasket of the coast, bordering Sombraden territory - the most changed and peaceful of the city states; reputed with natural earthmounds formed from the old revolution against the Old Banaethlin Empire and dried-coral bays drawn from the ancient era before the Cataclysm; forming a natural barrier and 'petrified forest' city partially submerging into water, guarded by potent and magical koi-fish protected by the Sombraden bugbears that settled into civilisation. The Koi-Garda, ruled equally by two rulers, a Bugbear merchant prince and a Goblin 'duchess' - of the Sombradan, Havel Stripebow, and the noble blood of the orange-skinned clan of the Ironfists, Aevilla Pridepalm. Here rests many plantations and manors that grow the vibrant fruits of the region, procure farms that grow up by the cliffside, and cleared the riverside tree-line to have access to arable grounds - but features a prominent hunters culture that takes from both land and sea, particularly the hunters guild known as the Seven-Headed Snakes, taking after hunts of particularly dangerous hydra and large game and dinosaurs within the Great Jungle of Dredjericho.   Such a union is unheard of - especially to the Zimmarks of the Bronzimm Concord; but it has been a necessary tradition throughout the recent centuries in order to appease the zealous Sombraden and keep in order the natural laws they abide by in the jungle. Havel Stripebrow is seen much as an outsider in the Cloud Court and an interloper, not participating in the occasional meetings but set out to maintain balance and peace in the region, and the prosperous growth and preservation of the land. Meanwhile, Aevilla Pridepalm maintains a monopoly of power, secured by her royal lineage from the hero of the Great Revolutions, and dubs herself the Queen of Carpe Som. She is the leader to the Skypelts, otherwise referred to as the Iron-Sky Court. Retaining a royal guard of koi-scale armoured goblins trained in the rites of the Aevonfists, the great monks responsible for the protection of the Concord's great heroic bloodline. She rules with a fair and firm fist, and is beloved by the people for her generous offerings & the blessings of the Sacred Koi that bring prosperous harvests from the rivers, and clean waters. Although she is especially concerned about the growing rot that is spreading out from the Pallid March, and the inciting conflicts between the city and the zealous Sombradan clan, and their denouncing of the Serpents Sublime.   Aevilla rules from her stronghold in the central quarter, known as "Pridefort", an earthwork construction with confusing garden-patterns & complicated structures & multiple layers to dismay any attacker; but also to grant bounties of food and goods, and prosperous shelter to the people in times of flood, storm or bad harvest. Sited with great stone statues of heroes long-since past, and inspired by flairs from innovative goblin artists, architects and engineers, as well as materials from the jungle wood, mountain stone and petrified coral. Here one may see the many water-way bridges that lead to the cities port, the aquaducts, into the Bay - the dinosaur pens & granary stores, but also its great towers that lead towards the jungle canopy.   Carpe Som was founded from the bounty of the jungles fruits and valuable trees of the region. Early on, the Hobgoblins of Banaethlin realised the potential of the vital natural fruits, crops and vegetables that grew within the southern regions of the Dredjericho Jungle, close to the Pallid March. Bananas, papayas, oranges, tangerines, coconuts, pineapples, mangoes, lemons, strawberry guavas, jagua (its juices used for ceremonial body art), avocadoes, grapefruit, figs, dates, cocoa beans, passionfruit, bacaba (cooked into a drink), rumberries harvested from the rivers, goldenberries, star-fruit, guanabana, star apples, pond apples, naranjillla, Kariff plum and mandarins. Producing sweet jellies, jams, salads, fruits and otherwise. Not to mention pumpkins, gourds, tomatoes, carrots, and spice trees. In addition, the region holds a vast array of medicinal herbs serving to aid in helping those with chronic headaches, irritable bowels, colds, flu, and other ailments - referred to as "Holy Herbs". Most fruit grow from the tree canopy, falling to the ground - most of the population have developed means to traverse through the treetops and have arboreal climbing-stairs and rope-bridges, and canopy-level farms above the ground to avoid the potential floods across this region. Hence the site was chosen in order to feed the burgeoning armies of the Hobgoblins, and the goblins were put to service against it.   The creatures of this region are also wild and varied: tigers, giant serpents and insectoids, great river spider-crabs, monkeys, gorillas, girallion, apes, birds of paradise, jaguars, velociraptors, allosaurs, triceratops, hadrosaurs, gallimimus, pterodactyls, bats, parrots, spiders, frogs, alligators, crocodiles, lizards, wolves, worgs, axebeaks, apirs, and many more exotic creatures. Most are hunted and preserved in number, some having become domesticated over time and forcefully over the goblins occupation over the region. Smaller creatures are taken as small game, or even household pets - meanwhile the dinosaurs are the most prized game, while others are left to dwell in the wild. Poisonous creatures and venomous creatures are looked upon with great distain and are likely seen as pests and exterminated - for the regions hatred and fear of Zehir, the Cloaked Serpent; thus frogs, lizards, snakes, serpents, salamanders and amphibians are exterminated wherever found. The greatest pests are the smallest however - being the mosquitoes, the spread of disease and often those that become parasites in fruit and food crops. Seasonally approaching in the Hot Season, becoming the regions worst pest. Despite the efforts of the Seven-Headed Snakes hunting guild, they face opposition from the zealous Sombraden occupants to the east that infest the regions, causing great issues and infestations - and most see to it that they exterminate any and all infected from the spores that emanate across Malevolem and the infestations that occasionally bloom across the Dredjericho Jungle.
Large city